........
Record 1
# PBE Rh2Cl, relaxed
# **Energy above the lowest structure with this stoichiometry**: 566 meV/atom
# **Uncorrected formation energy**: 0.788 eV per atom
data_Rh2Cl
_symmetry_space_group_name_H-M 'P 1'
_symmetry_Int_Tables_number 1
_cell_length_a 5.759
_cell_length_b 5.759
_cell_length_c 5.759
_cell_angle_alpha 90.00
_cell_angle_beta 90.00
_cell_angle_gamma 90.00
loop_
_symmetry_equiv_pos_as_xyz
'x,y,z'
loop_
_atom_site_label
_atom_site_type_symbol
_atom_site_fract_x
_atom_site_fract_y
_atom_site_fract_z
Rh1 Rh 0.644 0.644 0.356
Rh2 Rh 0.356 0.356 0.644
Rh3 Rh 0.144 0.856 0.644
Rh4 Rh 0.856 0.144 0.356
Rh5 Rh 0.356 0.144 0.144
Rh6 Rh 0.644 0.856 0.856
Rh7 Rh 0.856 0.356 0.856
Rh8 Rh 0.144 0.644 0.144
Cl1 Cl 0.000 0.000 0.000
Cl2 Cl 0.500 0.500 0.000
Cl3 Cl 0.500 0.000 0.500
Cl4 Cl 0.000 0.500 0.500

=====

Record 2
# PBE RhCl, relaxed
# **Uncorrected formation energy**: 0.079 eV per atom
data_RhCl
_symmetry_space_group_name_H-M 'P 1'
_symmetry_Int_Tables_number 1
_cell_length_a 8.693
_cell_length_b 8.693
_cell_length_c 8.693
_cell_angle_alpha 21.73
_cell_angle_beta 21.73
_cell_angle_gamma 21.73
loop_
_symmetry_equiv_pos_as_xyz
'x,y,z'
loop_
_atom_site_label
_atom_site_type_symbol
_atom_site_fract_x
_atom_site_fract_y
_atom_site_fract_z
Cl1 Cl 0.975 0.975 0.975
Cl2 Cl 0.775 0.775 0.775
Rh1 Rh 0.507 0.507 0.507
Rh2 Rh 0.243 0.243 0.243

=====

Density functional theory data (PBE-GGA) for a relaxed structure of Na2PrPuS4.

Results
- ΔE_f (raw): -1.648 eV/atom
- Spin magnetization: 0.625 μB/atom
- Fermi-level density of states: 10.62 states/eV per cell

Cell: 4.112 7.120 7.080 Å, 109.75 90.00 90.00°
Site moments in Bohr magnetons follow the coordinates.
Atoms (fractional coordinates):
S  0.000  0.751  0.234  -0.03
S  0.500  0.765  0.773  -0.07
S  0.500  0.235  0.227  -0.07
S  0.000  0.249  0.766  -0.03
Na  0.000  0.500  0.500  0.00
Na  0.500  0.000  0.500  0.00
Pu  0.000  0.000  0.000  5.02
Pr  0.500  0.500  0.000  0.04

Density functional theory data (PBE-GGA) for a relaxed structure of Na3PrPu2Se6.

Results
- ΔE_f (raw): -1.490 eV/atom
- Spin magnetization: 0.833 μB/atom
- Fermi-level density of states: 21.86 states/eV per cell

Cell: 7.358 7.358 7.384 Å, 99.56 99.56 120.01°
Site moments in Bohr magnetons follow the coordinates.
Atoms (fractional coordinates):
Na  0.166  0.834  0.500  0.00
Na  0.500  0.500  0.500  0.00
Na  0.834  0.166  0.500  0.00
Se  0.078  0.419  0.233  0.07
Se  0.263  0.263  0.766  0.07
Se  0.419  0.078  0.233  0.07
Se  0.737  0.737  0.234  0.07
Se  0.581  0.922  0.767  0.07
Se  0.922  0.581  0.767  0.07
Pr  0.000  0.000  0.000  -0.04
Pu  0.333  0.667  0.000  -5.11
Pu  0.667  0.333  0.000  -5.11

Density functional theory data (PBE-GGA) for a relaxed structure of NaPrPu2Se4.

Results
- ΔE_f (raw): -1.548 eV/atom
- Spin magnetization: 0.013 μB/atom
- Fermi-level density of states: 26.34 states/eV per cell

Cell: 4.204 7.300 7.337 Å, 70.41 90.00 90.00°
Site moments in Bohr magnetons follow the coordinates.
Atoms (fractional coordinates):
Se  0.000  0.243  0.255  -0.03
Se  0.000  0.757  0.745  -0.03
Se  0.500  0.758  0.245  0.03
Se  0.500  0.242  0.755  0.03
Na  0.000  0.500  0.500  0.00
Pu  0.500  0.000  0.500  5.35
Pu  0.000  0.000  0.000  -5.30
Pr  0.500  0.500  0.000  0.00

Density functional theory data (PBE-GGA) for a relaxed structure of NaPr2PuSe4.

Results
- ΔE_f (raw): -1.674 eV/atom
- Spin magnetization: 0.730 μB/atom
- Fermi-level density of states: 13.73 states/eV per cell

Cell: 4.235 7.331 7.350 Å, 70.46 90.00 90.00°
Site moments in Bohr magnetons follow the coordinates.
Atoms (fractional coordinates):
Se  0.000  0.742  0.754  -0.04
Se  0.500  0.253  0.751  -0.02
Se  0.000  0.258  0.246  -0.04
Se  0.500  0.747  0.249  -0.02
Pr  0.000  0.000  0.000  0.07
Pr  0.500  0.000  0.500  0.05
Na  0.000  0.500  0.500  0.00
Pu  0.500  0.500  0.000  5.42

Density functional theory data (PBE-GGA) for a relaxed structure of Na2PrPuTe4.

Results
- ΔE_f (raw): -1.172 eV/atom
........

Please transcribe everything further above exactly.

Record 1
# PBE Rh2Cl, relaxed
# **Energy above the lowest structure with this stoichiometry**: 566 meV/atom
# **Uncorrected formation energy**: 0.788 eV per atom
data_Rh2Cl
_symmetry_space_group_name_H-M 'P 1'
_symmetry_Int_Tables_number 1
_cell_length_a 5.759
_cell_length_b 5.759
_cell_length_c 5.759
_cell_angle_alpha 90.00
_cell_angle_beta 90.00
_cell_angle_gamma 90.00
loop_
_symmetry_equiv_pos_as_xyz
'x,y,z'
loop_
_atom_site_label
_atom_site_type_symbol
_atom_site_fract_x
_atom_site_fract_y
_atom_site_fract_z
Rh1 Rh 0.644 0.644 0.356
Rh2 Rh 0.356 0.356 0.644
Rh3 Rh 0.144 0.856 0.644
Rh4 Rh 0.856 0.144 0.356
Rh5 Rh 0.356 0.144 0.144
Rh6 Rh 0.644 0.856 0.856
Rh7 Rh 0.856 0.356 0.856
Rh8 Rh 0.144 0.644 0.144
Cl1 Cl 0.000 0.000 0.000
Cl2 Cl 0.500 0.500 0.000
Cl3 Cl 0.500 0.000 0.500
Cl4 Cl 0.000 0.500 0.500

=====

Record 2
# PBE RhCl, relaxed
# **Uncorrected formation energy**: 0.079 eV per atom
data_RhCl
_symmetry_space_group_name_H-M 'P 1'
_symmetry_Int_Tables_number 1
_cell_length_a 8.693
_cell_length_b 8.693
_cell_length_c 8.693
_cell_angle_alpha 21.73
_cell_angle_beta 21.73
_cell_angle_gamma 21.73
loop_
_symmetry_equiv_pos_as_xyz
'x,y,z'
loop_
_atom_site_label
_atom_site_type_symbol
_atom_site_fract_x
_atom_site_fract_y
_atom_site_fract_z
Cl1 Cl 0.975 0.975 0.975
Cl2 Cl 0.775 0.775 0.775
Rh1 Rh 0.507 0.507 0.507
Rh2 Rh 0.243 0.243 0.243

=====

Density functional theory data (PBE-GGA) for a relaxed structure of Na2PrPuS4.

Results
- ΔE_f (raw): -1.648 eV/atom
- Spin magnetization: 0.625 μB/atom
- Fermi-level density of states: 10.62 states/eV per cell

Cell: 4.112 7.120 7.080 Å, 109.75 90.00 90.00°
Site moments in Bohr magnetons follow the coordinates.
Atoms (fractional coordinates):
S  0.000  0.751  0.234  -0.03
S  0.500  0.765  0.773  -0.07
S  0.500  0.235  0.227  -0.07
S  0.000  0.249  0.766  -0.03
Na  0.000  0.500  0.500  0.00
Na  0.500  0.000  0.500  0.00
Pu  0.000  0.000  0.000  5.02
Pr  0.500  0.500  0.000  0.04

Density functional theory data (PBE-GGA) for a relaxed structure of Na3PrPu2Se6.

Results
- ΔE_f (raw): -1.490 eV/atom
- Spin magnetization: 0.833 μB/atom
- Fermi-level density of states: 21.86 states/eV per cell

Cell: 7.358 7.358 7.384 Å, 99.56 99.56 120.01°
Site moments in Bohr magnetons follow the coordinates.
Atoms (fractional coordinates):
Na  0.166  0.834  0.500  0.00
Na  0.500  0.500  0.500  0.00
Na  0.834  0.166  0.500  0.00
Se  0.078  0.419  0.233  0.07
Se  0.263  0.263  0.766  0.07
Se  0.419  0.078  0.233  0.07
Se  0.737  0.737  0.234  0.07
Se  0.581  0.922  0.767  0.07
Se  0.922  0.581  0.767  0.07
Pr  0.000  0.000  0.000  -0.04
Pu  0.333  0.667  0.000  -5.11
Pu  0.667  0.333  0.000  -5.11

Density functional theory data (PBE-GGA) for a relaxed structure of NaPrPu2Se4.

Results
- ΔE_f (raw): -1.548 eV/atom
- Spin magnetization: 0.013 μB/atom
- Fermi-level density of states: 26.34 states/eV per cell

Cell: 4.204 7.300 7.337 Å, 70.41 90.00 90.00°
Site moments in Bohr magnetons follow the coordinates.
Atoms (fractional coordinates):
Se  0.000  0.243  0.255  -0.03
Se  0.000  0.757  0.745  -0.03
Se  0.500  0.758  0.245  0.03
Se  0.500  0.242  0.755  0.03
Na  0.000  0.500  0.500  0.00
Pu  0.500  0.000  0.500  5.35
Pu  0.000  0.000  0.000  -5.30
Pr  0.500  0.500  0.000  0.00

Density functional theory data (PBE-GGA) for a relaxed structure of NaPr2PuSe4.

Results
- ΔE_f (raw): -1.674 eV/atom
- Spin magnetization: 0.730 μB/atom
- Fermi-level density of states: 13.73 states/eV per cell

Cell: 4.235 7.331 7.350 Å, 70.46 90.00 90.00°
Site moments in Bohr magnetons follow the coordinates.
Atoms (fractional coordinates):
Se  0.000  0.742  0.754  -0.04
Se  0.500  0.253  0.751  -0.02
Se  0.000  0.258  0.246  -0.04
Se  0.500  0.747  0.249  -0.02
Pr  0.000  0.000  0.000  0.07
Pr  0.500  0.000  0.500  0.05
Na  0.000  0.500  0.500  0.00
Pu  0.500  0.500  0.000  5.42

Density functional theory data (PBE-GGA) for a relaxed structure of Na2PrPuTe4.

Results
- ΔE_f (raw): -1.172 eV/atom